What to do
Set down only the lines underneath with the word "Offset" in them.

Given
+++
SmMgSe3: relaxed, GGA-PBE.

a = 7.3653 Å, b = 7.3653 Å, c = 6.8931 Å
α = 76.29°, β = 76.29°, γ = 116.97°
With the nearest neighbours (Å) after each atom.
Positions (direct):
Sm  0.8039  0.8039  0.3124  4 Se 2.77-2.80
Sm  0.1961  0.1961  0.6876  4 Se 2.77-2.80
Mg  0.3334  0.6666  0.0000  4 Se 2.66-2.68
Mg  0.6666  0.3334  0.0000  4 Se 2.66-2.68
Se  0.2328  0.8882  0.2170  1 Mg 2.68, 1 Sm 2.80
Se  0.7672  0.1118  0.7830  1 Mg 2.68, 1 Sm 2.80
Se  0.1118  0.7672  0.7830  1 Mg 2.68, 1 Sm 2.80
Se  0.8882  0.2328  0.2170  1 Mg 2.68, 1 Sm 2.80
Se  0.5317  0.5317  0.7475  2 Mg 2.66, 2 Sm 2.77-2.80
Se  0.4683  0.4683  0.2525  2 Mg 2.66, 2 Sm 2.77-2.80

Results
energy with MP2020 corrections = -0.3489 Ry per atom
energy above the most stable polymorph in this dataset = 101 meV/atom
DFT formation energy = -133.7 kJ/mol of atoms
calculated density = 4.601 g cm⁻³

~~~~~

1.
Below is crystalline CaAl2Si6O20 at its relaxed geometry, with properties calculated at the GGA-PBE level.

Results
Offset from the most stable computed form   182 meV per atom
Spin magnetization   6.0 μB/f.u.
E   -415.1 eV per cell
Space group   No. 7
E_form   -2406 meV per atom

Unit cell a=6.8957 b=14.1416 c=10.1365 alpha=90.00 beta=111.56 gamma=90.00
Positions (direct):
Ca 0.0000 0.2127 0.0000
Ca 0.0000 0.7873 0.5000
Al 0.3339 0.3573 0.2330
Al 0.3339 0.6427 0.7330
Al 0.9539 0.0048 0.5935
Al 0.9539 0.9952 0.0935
Si 0.2925 0.1541 0.5741
Si 0.2925 0.8459 0.0741
Si 0.3020 0.3727 0.5457
Si 0.3020 0.6273 0.0457
Si 0.3622 0.1265 0.2829
Si 0.3622 0.8735 0.7829
Si 0.6609 0.0417 0.7856
Si 0.6609 0.9583 0.2856
Si 0.6803 0.4936 0.7067
Si 0.6803 0.5064 0.2067
Si 0.9714 0.4706 0.0277
Si 0.9714 0.5294 0.5277
O 0.0823 0.0962 0.5486
O 0.0823 0.9038 0.0486
O 0.0972 0.3698 0.0798
O 0.0972 0.6302 0.5798
O 0.1347 0.0861 0.1791
O 0.1347 0.9139 0.6791
O 0.1368 0.4425 0.5798
O 0.1368 0.5575 0.0798
O 0.2529 0.2660 0.5864
O 0.2529 0.7340 0.0864
O 0.2791 0.3797 0.3827
O 0.2791 0.6203 0.8827
O 0.3101 0.1498 0.9971
O 0.3101 0.8502 0.4971
O 0.3615 0.2321 0.2157
O 0.3615 0.7679 0.7157
O 0.3800 0.1334 0.4466
O 0.3800 0.8666 0.9466
O 0.4778 0.1218 0.7245
O 0.4778 0.8782 0.2245
O 0.5381 0.3984 0.6536
O 0.5381 0.6016 0.1536
O 0.5426 0.4179 0.2198
O 0.5426 0.5821 0.7198
O 0.5567 0.0631 0.2776
O 0.5567 0.9369 0.7776
O 0.6407 0.2819 0.0110
O 0.6407 0.7181 0.5110
O 0.7250 0.2567 0.1357
O 0.7250 0.7433 0.6357
O 0.7917 0.4825 0.0937
O 0.7917 0.5175 0.5937
O 0.7995 0.0680 0.9503
O 0.7995 0.9320 0.4503
O 0.8121 0.0432 0.6950
O 0.8121 0.9568 0.1950
O 0.8488 0.2057 0.7342
O 0.8488 0.7943 0.2342
O 0.8640 0.4649 0.8565
O 0.8640 0.5351 0.3565

***

2.
Below is crystalline CaAl2Si4O14 at its relaxed geometry, with properties calculated at the GGA-PBE level.

Results
Offset from the most stable computed form   6 meV per atom
Spin magnetization   4.0 μB/f.u.
E   -300.4 eV per cell
Space group   No. 8
E_form   -2825 meV per atom

Unit cell a=10.0326 b=10.0326 c=7.5825 alpha=105.60 beta=105.60 gamma=83.14
Positions (direct):
Ca 0.0000 0.0000 0.0000
Ca 0.5074 0.5074 0.4777
Al 0.1907 0.5761 0.4676
Al 0.3186 0.9330 0.9977
Al 0.5761 0.1907 0.4676
Al 0.9330 0.3186 0.9977
Si 0.0568 0.2915 0.4088
Si 0.1329 0.8990 0.5776
Si 0.2200 0.4548 0.0576
Si 0.2915 0.0568 0.4088
Si 0.3773 0.6122 0.8920
Si 0.4548 0.2200 0.0576
Si 0.6122 0.3773 0.8920
Si 0.8990 0.1329 0.5776
O 0.0591 0.4265 0.0098
O 0.0787 0.4533 0.4525
O 0.1108 0.7393 0.4667
O 0.1641 0.9208 0.8073
O 0.2057 0.2057 0.4650
O 0.2280 0.9869 0.1820
O 0.2450 0.5654 0.9465
O 0.2638 0.9553 0.5313
O 0.2826 0.5189 0.2862
O 0.3107 0.3107 0.9945
O 0.3427 0.5835 0.6607
O 0.4047 0.7719 0.9947
O 0.4265 0.0591 0.0098
O 0.4533 0.0787 0.4525
O 0.5166 0.5166 0.9628
O 0.5189 0.2826 0.2862
O 0.5221 0.7526 0.4681
O 0.5654 0.2450 0.9465
O 0.5835 0.3427 0.6607
O 0.7393 0.1108 0.4667
O 0.7526 0.5221 0.4681
O 0.7719 0.4047 0.9947
O 0.7795 0.9800 0.0789
O 0.9208 0.1641 0.8073
O 0.9553 0.2638 0.5313
O 0.9800 0.7795 0.0789
O 0.9869 0.2280 0.1820
O 0.9916 0.9916 0.5061

***

3.
+++

Reply
Offset from the most stable computed form   182 meV per atom
Offset from the most stable computed form   6 meV per atom